Titration is a procedure for determining the concentration of a solution by allowing a carefully measured
volume to react with a standard (of known concentration) solution of another substance. An acid-base
titration is quite common, and is based on the neutralization reaction between an acid and a base. In the
laboratory, such a titration can be monitored using an acid-base indicator or an instrument called a pH
(1) A known volume of acid is pipetted into a conical flask and universal indicator added. The acid is titrated with
the alkali in the burette
(2) until the indicator turns green.
(3). The volume of alkali needed for neutralisation is then noted, this is called the endpoint. (1-3) are
repeated with both known volumes mixed together BUT
without the contaminating indicator.
The volume of standard solution required for complete
reaction can be used to calculate the
concentration of the unknown solution. Let's consider
a titration of HCl with KOH. Results of a
titration indicate that 29.7 mL of a 0.100M solution of
KOH was required to completely
neutralize a 15.0 cm3 sample of HCl. We begin by
writing a balanced equation for the titration reaction.
HCl(aq)+KOH(aq) ----------- H2O(l) +KCl(aq)
15.0mL 29.7 cm3
0.100 M
Because we know the concentration and the volume of the KOH solution, we can calculate the number of
moles of KOH used in the reaction.
Number of moles of KOH in 29.7 cm3
= 29.7 x 0.1
= 2.97 x 10–3 mol KOH
The number of moles of KOH is related to the number of moles of HCl by the stoichiometric
coefficients of the balanced chemical equation. In this case, there is a 1:1 ratio. Don't be tempted to omit
this step, however, because the ratio is not always 1:1.
2.97 x 10–3 mol KOH (1 mol HCl / 1 mol KOH) = 2.97 x 10–3 mol HCl
We can now calculate the concentration of the HCl solution by dividing moles by volume.
2.1 x 10–3 mol HCl / 0.015 dm3 = 0.198 mol / dm3 HCl = 0.198 M HCl
Titration of sulphuric acid with sodium hydroxide.
Problem No. 1
30 cm3 of 0.1 mol/dm3 NaOH (aq) reacted completely with 25 cm3 of H2SO4 (aq) in a titration flask.
Calculate the concentration of H2SO4 in (a) mol/dm3 and (b) in g/dm3. The equation for the reaction is
Concentration Of NaOH
Concentration of H2SO4
Volume of NaOH
Volume of H2SO4
0.1 mol/dm3
30 cm3
25 cm3
Step 1: First find the number of moles of NaOH use in titration
1 dm3 contain 0.1 mol
0.03dm3 (30cm3) will contain 0.03 x 0.1 = 0.003 moles ( in 30 ml)
Step 2:Write the chemical equation for the reaction.
2NaOH(aq) + H2SO4(aq) --------------------- Na2SO4(aq) + 2H2O(l)
Step 3: From the equation find the ratio of number of moles of H2SO4 to the number of moles of NaOH
NaOH : H2SO4
Step 4: Use the ration to find the number of moles of H2SO4 that reacted.
NaOH :
0.003 :
Step 5: Find the concentration of H2SO4 in moles/ dm3.
0.0015 moles are present in 0.025 dm3
x moles are present in 1 dm3
0.0015 x 1
0.06 moles / dm3
Step 6: Find the concentration of H2SO4 in g/ dm3
0.06 x 98 = 5.88 g/dm3
Titration of iron (II) sulphate with potassium manganate (VII).
25.0 cm3 of FeSO4(aq), acidified with sulphuric acid, required 27.5 cm3 of 0.0200 mol/dm3 KMnO4 (aq)
for reaction in a titration. Calculate the concentration of FeSO4 (aq).
Step1: Find the number of moles of KMnO4 used in titration
0.02 moles are present in 1 dm3
x moles are present in 0.0275 dm3 ( 27.5 cm3)
0.02 x 0.0275
Step 2: Write the chemical equation for the reaction.
0.00055 molers in 27.5 cm3
2KMnO4 (aq) + 10FeSO4 (aq) + 8 H2SO4 (aq) ----------- K2SO4 (aq) + 2MnSO4 (aq) +
5Fe2(SO4)3(aq) + 8H2O (l)
Step 3: From the equation find the ratio of number of moles of FeSO4 to the number of moles of KMnO4.
Step 4: Use the ratio to find the number of moles of FeSO4 that reacted in the titration.
Step 5: Find the concentration of FeSO4 (aq) in mol/ dm3.
0.025 dm3 contains 0.00275 moles
1 dm3 contains
0.00275 x 0.025
= 0.11 moles / dm3
1. Identification of Acids and Alkalis.
An acid has the formula H2XO4. One mole of H2XO4 reacts with two moles of NaOH. A solution of the
acid contains 5.0 g/ dm3 of H2XO4. In a titration, 25.0 cm3 of the acid reacted with 25.5 cm3 of 0.1 mol/
dm3 NaOH (aq). Calculate the concentration of the acid in mol/ dm3 and hence calculate the relative
molecular mass of the acid.
Concentration Of NaOH
Concentration of H2XO4
Volume of NaOH
Volume of H2SO4
= 0.1 mol/dm3
= 50 g /dm3
= 25 cm3
= 25cm3
Step 1: Write the balanced equation
+ 2NaOH ------------------- Na2XO4
+ 2H2O
Step 2 : Find the numbers of moles of NaOH used in titration
No. of moles of NaOH used in titration
= concentration x vol. in dm3
No. of moles of H2XO4
= 0.1 x 25.5
= ½ x no. of moles of NaOH
= ½ x 0.1 x 25.5
Concentration of the acid
= no. of moles of H2XO4
Vol. of acid in dm3
= ½ x 0.1 x 25.5
= 0.051 mol/ dm3
1dm3 acid solution contains 0.051 mol and 5.0 g of H2XO4.
So 0.051 mol of H2XO4 has a mass of 5.0 g of H2XO4.
And 1 mol. Of H2XO4 has a mass of 5.0/0.051 = 98g.
Hence the relative molecular mass of H2XO4 is 98.
The relative atomic mass of X = 98 – 66 =32.
So X is sulphur and the acid is H2SO4.
Percentage Purity of Compounds
Solution of X contains 5.00 g of impure sulphuric acid dissolved in 1 dm3 of solution. 25.0 cm3 of
solution X required 23.5 cm3 of 0.100 mol/ dm3 NaOH for the reaction in titration. Calculate the
percentage purity of acid.
Percentage purity = mass of actual acid / dm3
Mass of impure acid/ dm3
x 100
No. of moles of NaOH used in titration = 23.5 x 0.100 mol.
The equation is
H2SO4 + 2NaOH ------------------ Na2SO4 + 2H2O
From the equation,
No. of moles of H2SO4 = ½ x no. of moles of NaOH
= ½ x 23.5 x 0.100 mol.
So the concentration of H2SO4
= no of moles
vol. in dm3
= ½ x 23.5
x 0.100
= 0.047 mol/ dm3.
Hence the no. of grams of H2SO4 in 1 dm3
= 0.047 x Mr of H2SO4
= 0.047 x 98
= 4.61 g.
Hence the percentage purity = 4.61 x 100
= 92.2%
Formulas of compounds
Solution Y contains 30.0 g of FeSO4. xH2O. In a titration 25.0 cm3 of solution Y (FeSO4. xH2O)reacted
with 27.0 cm3 of 0.02 mol/dm3 KMnO4. In the reaction 5 moles of Y reacts with one mole of KMnO4.
Calculate the concentration of Y in mol/dm3 and hence find the value of x.
No. of moles of KMnO4 used in the titration
= 27.0
x 0.020 mol = 0.00054 mol
No. of moles of FeSO4. xH2O that reacted with KMnO4 in titration.
5 x 0.00054 = 0.0027 mol
Conc. of FeSO4. xH2O
# These data records were left in the entry by mistake
____________
Arrangement A

The following is a DFT calculation (the ωB97M-V functional and the def2-TZVPD basis) of a cluster of 2 separate species, C7H12N2O in total.

As for the SMILES: Cc1cn[nH]c1.C=C(C)O. Its HOMO energy is -8.682 eV. Its orbital gap is 9.22 eV. The LUMO energy comes out at 0.54 eV.

The geometry in ORCA input format:
```
! wB97M-V def2-TZVPD RIJCOSX def2/J DEFGRID3
* xyz 0 1
C -0.3036 2.5329 1.3948
C 0.1581 2.3219 -0.0572
C 0.0974 3.1471 -1.1726
N 0.2447 2.4969 -2.3534
N 0.7358 1.2965 -1.9808
C 0.6686 1.0793 -0.6066
H -1.4088 2.8126 1.5022
H 0.0315 1.5773 1.8550
H 0.2638 3.3410 1.9834
H -0.4129 4.0946 -1.2020
H 1.0592 0.6293 -2.6067
H 0.8881 0.1622 -0.1551
C 0.5970 -4.4040 0.0153
C 0.4842 -3.0878 0.1877
C 0.2222 -2.5376 1.5218
O 0.8527 -2.0553 -0.6916
H 0.4153 -5.0742 0.8810
H 0.8522 -4.7677 -0.9278
H 0.1518 -1.4247 1.5073
H 1.0724 -2.9678 2.2042
H -0.7287 -3.0345 1.9407
H 1.1526 -2.4887 -1.4562
*
```

***

Arrangement B

The following is a DFT calculation (the ωB97M-V functional and the def2-TZVPD basis) of a cluster of 2 separate species, C7H12N2O in total.

Its HOMO energy (spin up / spin down) is -6.637 / -6.636 eV. Its orbital gap (spin up / spin down) is 7.41 / 7.41 eV. The LUMO energy (spin up / spin down) comes out at 0.77 / 0.77 eV.

The geometry in ORCA input format:
```
! wB97M-V def2-TZVPD RIJCOSX def2/J DEFGRID3
* xyz 0 1
C -2.4663 1.3890 0.5438
C -2.3259 0.0026 0.1571
C -0.6822 1.3315 -0.7755
C -1.3143 -2.5165 -1.2126
C 2.7048 0.3787 -0.4465
C -0.7744 -1.1520 -1.3164
C 2.5472 0.6116 0.8385
N -1.5366 2.1113 -0.0256
N -1.2413 -0.0877 -0.7199
O 3.1949 1.6719 1.5437
H -3.3882 1.7390 1.1962
H -3.0365 -0.7524 0.2567
H 0.2630 1.1166 -0.3952
H -1.8806 -2.6963 -2.1620
H -0.5121 -3.1766 -1.1304
H -1.9799 -2.6745 -0.3732
H 3.2260 1.1728 -1.0816
H 2.2533 -0.3700 -1.0691
H -0.7147 1.7104 -1.8596
H -0.0108 -1.1115 -2.0543
H 1.8423 0.1082 1.5237
H 3.7973 1.9737 0.8286
*
```

***

Which of them is the most stable? Correct choice: arrangement A.

***

Arrangement A

The following is a DFT calculation (the ωB97M-V functional and the def2-TZVPD basis) of an isolated molecule of C3H6.

As for the SMILES: C=CC. Its HOMO energy is -9.620 eV. Its orbital gap is 10.92 eV. The LUMO energy comes out at 1.30 eV.

The geometry in ORCA input format:
```
! wB97M-V def2-TZVPD RIJCOSX def2/J DEFGRID3
* xyz 0 1
C 0.5486 -1.1494 -0.6057
C -0.2110 -0.0590 -0.5064
C -0.3301 0.8072 0.6816
H 0.6852 -1.5921 -1.6096
H 1.1999 -1.6035 0.1351
H -0.8287 0.2663 -1.3321
H 0.2863 1.7789 0.6079
H -1.3318 1.1767 1.0076
H -0.0185 0.3749 1.6214
*
```

***

Arrangement B

The following is a DFT calculation (the ωB97M-V functional and the def2-TZVPD basis) of an isolated molecule of C3H6.

As for the SMILES: C=CC. Its HOMO energy is -8.571 eV. Its orbital gap is 9.61 eV. The LUMO energy comes out at 1.04 eV.

The geometry in ORCA input format:
```
! wB97M-V def2-TZVPD RIJCOSX def2/J DEFGRID3
* xyz 0 1
C -1.4878 -0.2807 -0.1972
C -0.1823 0.2361 0.5016
C 0.9494 0.0691 -0.3647
____________
# So much for the data records
= 0.0027 x 1000
= 0.108 mol/dm3
Hence 0.108 mol of FeSO4.xH2O
= 30 g.
Therefore 1 mole of FeSO4. xH2O will be equal to 30/ 0.108 = 278 g.
Mr. Of FeSO4 = 152
Mr. Of FeSO4.xH2O = 278
Therefore x.H2O = 278- 152 = 126
_Attached: records of molecules_
********
# 1
{"formula": "C6H17NO", "method": "ωB97M-V/def2-TZVPD", "e_homo_ev": -8.604, "de_lowest_kj_mol": 124.1, "fmax_ev_per_a": 2.00, "symbols": ["C", "C", "N", "C", "C", "C", "C", "H", "H", "H", "H", "H", "H", "H", "H", "H", "H", "H", "H", "H", "H", "H", "H", "H", "O"], "coordinates": [[1.14392, -1.68341, -1.34866], [1.34364, -0.33182, -0.63948], [0.03194, 0.06324, -0.06119], [0.09684, 0.06538, 1.38318], [1.17674, 1.00152, 2.03548], [-0.47401, 1.32455, -0.61666], [-1.91467, 1.57649, -0.13310], [0.66291, -2.44456, -0.73405], [2.11628, -2.13190, -1.58104], [0.55011, -1.56608, -2.25172], [2.04757, -0.45944, 0.18121], [1.72982, 0.40729, -1.35270], [0.21153, -0.96798, 1.75265], [-0.87177, 0.35183, 1.80913], [1.91127, 1.47816, 1.38114], [1.81013, 0.40278, 2.69655], [0.63973, 1.78294, 2.57136], [-0.61270, 1.17730, -1.69250], [0.21915, 2.16540, -0.46802], [-2.24607, 0.58143, 0.15849], [-2.50023, 2.09037, -0.89666], [-2.18840, 2.21043, 0.72702], [-2.02227, -1.77774, -0.59517], [-0.98651, -2.82772, -1.13220], [-1.87494, -2.48845, -1.19307]], "forces_ev_per_a": [[0.9, 0.0, -0.1], [-1.2, -1.1, 0.0], [0.4, 0.6, -0.3], [0.3, 0.2, 0.7], [-0.2, -0.6, 0.1], [-0.6, 0.0, 0.1], [-0.2, 0.5, 0.5], [0.0, 0.4, 0.4], [0.0, 0.2, -0.4], [0.1, 0.0, -0.1], [0.3, 0.1, -0.1], [-0.1, 0.0, 0.2], [0.3, 0.2, -0.3], [0.1, 0.1, -0.3], [-0.5, 0.0, -0.4], [-0.3, 0.3, 0.3], [0.4, 0.0, 0.2], [0.5, 0.0, 0.0], [-0.1, 0.0, 0.1], [-0.8, 0.0, -0.5], [-0.1, -0.7, -0.4], [1.1, -0.1, 0.2], [0.5, 0.8, 0.8], [0.1, 0.4, 0.3], [-1.0, -1.2, -1.2]]}



# 2
********
_Here the piece continues_
Mr. of H2O = 18
Mr. of xH2O = 126
Therefore x = 126 / 18 = 7
Therefore formula will be FeSO4.7H2O
Numbers of Reacting Moles in an equation.
xH2O2 + yKMnO4 + acid ------------------ Product
In a titration, 25.0 cm3 of 0.0400mol/dm3 H2O2 reacted with 20.0 cm3 of 0.0200 mol/dm3 KMnO4. Find
the value of x and y in the outline equation above.
No. of moles of H2O2 used in the titration = 25.0 x 0.0400 mol = 0.001 mol.
No. of moles of KMnO4 used in the titration = 20.0 x 0.0200 mol = 0.0004 mol.
So we can say that 0.001 moles of H2O2 reacts with 0.004 moles of KMnO4.
So 1 mole of KMnO4 would react with 0.001
= 2.5 mole
Hence the ratio of x: y is 1: 2.5 = 2: 5.
So x = 2 and y = 5.
Precipitation Reactions and Solubility Rules
To predict whether a precipitation reaction will occur upon mixing aqueous solutions, you must
know the solubility of each of the potential products. A substance that has a low solubility in
water will likely form a precipitate in aqueous solution. A substance with a high solubility in water
will not precipitate in solution.
The following solubility guidelines will be helpful in predicting precipitates:
1. A compound containing one of the following cations is probably soluble:
~~~
(1)
21
Properties=species:S:1:pos:R:3 method="wB97M-V/def2-TZVPD" relative_energy_kcal_mol=0.00 lumo_ev=0.2 homo_lumo_gap_ev=9.591 largest_force_ev_per_a=0.9 homo_energy_ev=-9.39
N -0.52873 0.85663 -1.34654
C 0.70212 0.10177 -0.98976
C 0.35407 -1.23489 -0.35673
S 1.81911 -2.26706 -0.13218
S 2.47281 -1.62529 1.71949
H -0.46132 1.07654 -2.33147
H -0.53072 1.74483 -0.86909
H 1.32414 -0.02268 -1.87654
H 1.33587 0.70220 -0.34115
H -0.13168 -1.04296 0.59645
H -0.36355 -1.76625 -0.97106
H 1.89944 -2.51409 2.55052
O -2.55010 -0.62237 -3.07722
H -3.22222 -1.11618 -2.59588
H -1.85330 -0.48194 -2.41957
O -1.43626 0.78926 1.70350
H -0.63010 1.32005 1.85103
H -2.08764 1.42905 1.38556
O 1.15988 1.80716 2.25079
H 1.08948 1.87000 3.20763
H 1.63870 0.99622 2.04221

***

(2)
21
Properties=species:S:1:pos:R:3 method="wB97M-V/def2-TZVPD" relative_energy_kcal_mol=0.00 total_charge=+1 lumo_ev="-4.8 / -8.5" homo_lumo_gap_ev="8.986 / 5.043" s_squared=0.76 largest_force_ev_per_a=2.5 homo_energy_ev="-13.81 / -13.57" multiplicity=2
N 1.78391 1.50036 -1.37573
C 1.54952 1.43307 0.03747
C 1.35047 -0.08767 0.40916
S 0.82682 -0.23561 2.11482
S -1.19919 0.10517 2.19210
H 2.37385 2.28523 -1.61570
H 1.01699 1.46011 -2.03254
H 2.43495 1.80153 0.54334
H 0.64801 2.02894 0.32806
H 0.62243 -0.67803 -0.14614
H 2.28136 -0.66487 0.31877
H -1.70102 -0.81035 1.33007
H 2.02402 -1.29200 -3.27969
H 2.00559 -1.55706 -1.68418
O 1.67988 -1.80705 -2.55597
H -1.91213 -1.94684 -1.54551
H -0.93046 -1.48365 -2.55433
O -1.76884 -1.21028 -2.15989
H -3.80762 0.45424 -1.28928
H -2.20116 0.63240 -1.18063
O -3.05472 1.02322 -1.31457

***

(3)
20
Properties=species:S:1:pos:R:3 method="wB97M-V/def2-TZVPD" relative_energy_kcal_mol=39.72 lumo_ev=0.4 homo_lumo_gap_ev=8.961 largest_force_ev_per_a=2.3 homo_energy_ev=-8.60
C 2.06101 -2.16298 1.10609
C 0.87585 -1.56632 1.27466
N 0.53057 -0.20721 1.41968
H 2.87565 -1.74139 0.53209
H 2.16753 -3.14444 1.54386
H 0.06231 -2.17288 1.66977
H 0.13513 -0.04499 2.33350
H 1.36889 0.35561 1.35921
O 2.29579 1.15104 -2.79694
H 1.62166 0.52076 -2.50915
H 2.85109 1.30690 -2.02083
O -2.90321 0.83804 1.91985
H -2.47231 0.61064 1.07959
H -3.48085 1.58632 1.75215
O -1.76791 -0.40146 -0.37006
H -1.28723 0.41197 -0.58267
H -1.11755 -1.07597 -0.58551
O -1.06048 1.56339 -2.25087
H -2.00561 1.77140 -2.23757
H -0.75032 2.40158 -2.63686

***

(4)
20
Properties=species:S:1:pos:R:3 method="wB97M-V/def2-TZVPD" relative_energy_kcal_mol=25.63 lumo_ev=0.4 homo_lumo_gap_ev=8.736 largest_force_ev_per_a=2.1 homo_energy_ev=-8.29
C 0.49271 0.12845 -1.79002
C 0.27420 -1.07691 -1.28804
N -1.00434 -1.56972 -1.04346
H -0.28417 0.86527 -2.01209
H 1.41596 0.68053 -1.88924
H 1.00169 -1.86302 -1.13462
H -1.78963 -0.98293 -1.24661
H -1.12803 -2.52396 -0.76889
O -2.24439 0.99995 0.06381
H -2.17656 1.94114 0.25370
H -2.43926 0.49593 0.86669
O 2.15106 -0.73921 1.15368
H 3.04395 -0.55952 1.44999
H 1.81803 0.17218 0.97224
O 1.27781 1.84430 0.75407
H 1.69320 2.69665 0.67692
H 0.65381 1.63398 0.03735
~~~
Group 1A cation: Li+, Na+, K+, Rb+, Cs+ Ammonium ion: NH4+
2. A compound that contains one of the following anions is probably soluble:
Halide: Cl–, Br–, I–
Except Ag+, Hg2+, Pb2+ compounds
Nitrate (NO3–), perchlorate (ClO4–), acetate (CH3COO–), sulfate (SO42–)
Except Ba2+ , Hg2+, Pb2+ sulfates
3. Most compounds that contain the following anions are insoluble unless they contain a Group
1A cation, ammonium ion:
Hydroxide (OH–), oxide (O2–), carbonate (CO32–), phosphate (PO43–), chromate(CrO42–), sulfide(S2–)
To predict the outcome when combining aqueous solutions of ionic compounds:
Write the complete molecular equation.
Determine whether the products will be soluble or insoluble by consulting the solublity guidelines.
Write the complete ionic equation, separating the soluble products into their component ions.
Cancel and remove the spectator ions. The resulting net ionic equation must show the formation of
an insoluble solid product in a precipitation reaction.